by Admin
What comes next are crystal structures, not part of the page =
┌──
Entry 1:
Calculated powder X-ray diffraction pattern of Na2Cd4Cl9 for CuKα, from a PBE-relaxed structure.

Main lines, low angle first (2θ from 15° to 90°):
- 17.47°, rel. 47
- 23.84°, rel. 88
- 25.74°, rel. 56
- 29.38°, rel. 51
- 31.91°, rel. 27
- 35.36°, rel. 44
- 38.44°, rel. 100
- 44.25°, rel. 41
- 45.38°, rel. 61
- 60.94°, rel. 22

Structure:
```
data_Na2Cd4Cl9
_symmetry_space_group_name_H-M 'C 1 2/c 1'
_symmetry_Int_Tables_number 15
_symmetry_space_group_name_Hall '-C 2yc'
_cell_length_a 11.993
_cell_length_b 6.923
_cell_length_c 19.081
_cell_angle_alpha 90.00
_cell_angle_beta 90.02
_cell_angle_gamma 90.00
loop_
_atom_site_label
_atom_site_fract_x
_atom_site_fract_y
_atom_site_fract_z
_atom_site_occupancy
Na1 0.000 0.000 0.149 1
Cd1 0.167 0.499 0.312 1
Cd2 0.167 0.500 0.012 1
Cl1 0.000 0.314 0.250 1
Cl2 0.009 0.363 0.920 1
Cl3 0.157 0.158 0.750 1
Cl4 0.177 0.195 0.420 1
Cl5 0.186 0.168 0.080 1
```

***

Entry 2:
Calculated powder X-ray diffraction pattern of NaCd2Cl4 for CuKα, from a PBE-relaxed structure.

Main lines, low angle first (2θ from 15° to 90°):
- 20.36°, rel. 39
- 24.79°, rel. 100
- 32.29°, rel. 21
- 35.03°, rel. 20
- 40.85°, rel. 46
- 41.40°, rel. 22
- 43.91°, rel. 12
- 47.89°, rel. 15
- 48.86°, rel. 29
- 75.14°, rel. 13

Structure:
```
data_NaCd2Cl4
_symmetry_space_group_name_H-M 'P -4 2 m'
_symmetry_Int_Tables_number 111
_symmetry_space_group_name_Hall 'P -4 2'
_cell_length_a 6.168
_cell_length_b 6.168
_cell_length_c 6.331
_cell_angle_alpha 90.00
_cell_angle_beta 90.00
_cell_angle_gamma 90.00
loop_
_atom_site_label
_atom_site_fract_x
_atom_site_fract_y
_atom_site_fract_z
_atom_site_occupancy
Na1 0.000 0.000 0.000 1
Cd1 0.000 0.500 0.500 1
Cl1 0.247 0.247 0.267 1
```

***

Entry 3:
Calculated powder X-ray diffraction pattern of Na2CdCl3 for CuKα, from a PBE-relaxed structure.

Main lines, low angle first (2θ from 15° to 90°):
- 17.23°, rel. 37
- 22.55°, rel. 26
- 30.08°, rel. 100
- 30.22°, rel. 27
- 31.84°, rel. 44
- 42.43°, rel. 17
- 43.68°, rel. 17
- 44.37°, rel. 63
- 55.06°, rel. 16
- 71.87°, rel. 21

Structure:
```
data_Na2CdCl3
_symmetry_space_group_name_H-M 'C 1 2/c 1'
_symmetry_Int_Tables_number 15
_symmetry_space_group_name_Hall '-C 2yc'
_cell_length_a 13.436
_cell_length_b 5.622
_cell_length_c 8.289
_cell_angle_alpha 90.00
_cell_angle_beta 107.97
_cell_angle_gamma 90.00
loop_
_atom_site_label
_atom_site_fract_x
_atom_site_fract_y
_atom_site_fract_z
_atom_site_occupancy
Na1 0.168 0.000 0.084 1
Cd1 0.000 0.500 0.250 1
Cl1 0.000 0.000 0.250 1
Cl2 0.181 0.500 0.091 1
```

***

Entry 4:
Calculated powder X-ray diffraction pattern of NaCdPbCl5 for CuKα, from a PBE-relaxed structure.

Main lines, low angle first (2θ from 15° to 90°):
- 18.12°, rel. 74
- 19.02°, rel. 26
- 19.88°, rel. 100
- 25.74°, rel. 27
- 28.23°, rel. 53
- 32.02°, rel. 47
- 37.98°, rel. 32
- 40.39°, rel. 56
- 43.21°, rel. 33
- 52.44°, rel. 44

Structure:
```
data_NaCdPbCl5
_symmetry_space_group_name_H-M 'C 1 2/c 1'
_symmetry_Int_Tables_number 15
└──
Posted on 19-06-2023 01:53 PM
While there are many routes to a commercial career, from real estate to sports photography , the most important thing you need to land gigs is a strong portfolio of
. It’s okay if you don’t know what type of photography you want to specialize in right away. You might not have the luxury to start out shooting exactly what you want. As a general rule, stay away from providing your services for free.
This can devalue your work and the photography industry as a whole. But that may be a judgment call worth making for a new photographer.
Looking for professional, royalty-free business photos? our collection of business photos can help your brand build customer trust. Unlike traditional business stock photos, our images feature modern products and candid photography of working business professionals. Our images help your brand appear more credible, trustworthy and approachable to your customers. The business photography in this collection also includes a diverse group of businesspeople to help capture the diversity of your team and your customers. You’ll be able to find pictures that represent business values such as teamwork, strategic planning, and hard work. Our selection of high-resolution business pictures include images of businessmen, businesswomen, professional workspaces with modern technology, and work-related products such as pens, agendas and calculators.
A stock photo is an image ― or other visual content ― for which users can buy a license for creative or commercial use. Stock photography is appealing because you can search a stock photo site for an appropriate image immediately. The alternative is to hire a photographer to create original content, which can be expensive.
[Crystal structures that have nothing to do with the article]
1.
# Li2MnPCO7
Calculated powder X-ray diffraction pattern, λ = 1.5418 Å (Cu Kα). Input: a DFT-relaxed cell (PBE+U, the Materials Project).
Lines closer than 0.1° are merged.

Main lines, sorted by position (10° ≤ 2θ ≤ 80°):
| h k l | Position (°2θ) | d/Å | I_rel |
| --- | --- | --- | --- |
| 0 0 1 | 10.47 | 8.448 | 100 |
| 0 1 -1 | 17.29 | 5.127 | 12 |
| 0 1 1 | 17.69 | 5.013 | 29 |
| 1 0 -1 | 19.46 | 4.562 | 30 |
| 1 0 1 | 20.20 | 4.396 | 22 |
| 1 -1 0 | 21.61 | 4.112 | 11 |
| 1 0 -2 | 26.48 | 3.366 | 39 |
| 0 2 0 | 28.17 | 3.168 | 59 |
| 2 0 0 | 33.97 | 2.639 | 22 |
| 2 0 -1 | 35.21 | 2.549 | 12 |

Cell and atoms:
```
data_Li2MnPCO7
_symmetry_space_group_name_H-M 'P -1'
_symmetry_Int_Tables_number 2
_cell_length_a 5.2847
_cell_length_b 6.3406
_cell_length_c 8.4577
_cell_angle_alpha 91.28
_cell_angle_beta 92.32
_cell_angle_gamma 91.53
loop_
_symmetry_equiv_pos_as_xyz
'x,y,z'
'-x,-y,-z'
loop_
_atom_site_label
_atom_site_fract_x
_atom_site_fract_y
_atom_site_fract_z
_atom_site_occupancy
Li1 0.2007 0.0660 0.2323 1
Li2 0.2222 0.5694 0.3080 1
Mn1 0.2263 0.2411 0.8459 1
P1 0.2913 0.7528 0.9349 1
C1 0.2708 0.2627 0.5488 1
O1 0.0605 0.2451 0.6305 1
O2 0.1890 0.9317 0.8290 1
O3 0.1897 0.7717 0.1035 1
O4 0.2002 0.5475 0.8484 1
O5 0.2563 0.2830 0.3998 1
O6 0.4099 0.2301 0.0522 1
O7 0.4764 0.2575 0.6354 1
```

=====

2.
# ScNiBO4
Calculated powder X-ray diffraction pattern, λ = 1.5418 Å (Cu Kα). Input: a DFT-relaxed cell (PBE+U, the Materials Project).
Lines closer than 0.1° are merged.

Main lines, sorted by position (10° ≤ 2θ ≤ 80°):
| h k l | Position (°2θ) | d/Å | I_rel |
| --- | --- | --- | --- |
| 0 1 1 | 13.18 | 6.717 | 23 |
| 0 2 1 | 20.81 | 4.269 | 33 |
| 0 3 1 | 29.54 | 3.024 | 27 |
| 1 0 2 | 33.63 | 2.665 | 100 |
| 0 3 2 | 33.92 | 2.643 | 45 |
| 0 2 3 | 34.14 | 2.626 | 20 |
| 1 2 3 | 44.45 | 2.038 | 20 |
| 1 3 3 | 49.53 | 1.840 | 21 |
| 1 3 4 | 56.27 | 1.635 | 26 |
| 1 2 5 | 60.03 | 1.541 | 21 |

Cell and atoms:
```
data_ScNiBO4
_symmetry_space_group_name_H-M 'P m c 21'
_symmetry_Int_Tables_number 26
_cell_length_a 3.2315
_cell_length_b 9.5776
_cell_length_c 9.4215
_cell_angle_alpha 90.00
_cell_angle_beta 90.00
_cell_angle_gamma 90.00
loop_
_symmetry_equiv_pos_as_xyz
'x,y,z'
'-x,-y,z+1/2'
'-x,y,z'
'x,-y,z+1/2'
loop_
_atom_site_label
_atom_site_fract_x
_atom_site_fract_y
_atom_site_fract_z
_atom_site_occupancy
Sc1 0.0000 0.0565 0.0000 1
Sc2 0.0000 0.3270 0.4900 1
Ni1 0.5000 0.1852 0.7221 1
Ni2 0.5000 0.4458 0.2030 1
B1 0.0000 0.3737 0.9319 1
B2 0.5000 0.1283 0.2705 1
O1 0.0000 0.1313 0.5892 1
O2 0.0000 0.2422 0.8658 1
O3 0.0000 0.3847 0.0768 1
O4 0.0000 0.4957 0.8488 1
O5 0.5000 0.0042 0.3499 1
O6 0.5000 0.1171 0.1247 1
O7 0.5000 0.2572 0.3340 1
O8 0.5000 0.3672 0.6101 1
```


The following is a theoretical powder diffractogram of YHo2Tl2. It was derived from a DFT-relaxed cell (GGA-PBE, Alexandria), using copper Kα.

Cell and atoms:
Lattice parameters (Å, degrees): 5.249 6.624 9.095 103.20 90.03 113.24
Space group P-1 (No. 2)
This category involves photographing a space for commercial purposes. This can be to showcase the architect’s design or to show the appeal of a retail store. As with food photography , you’re often working with tight time frames. And you’re shooting around the flow of customers. With spaces, including a few well-placed people in the shot often helps to give the photo life and context.
(Materials data that have nothing to do with the article)
+++
Simulated X-ray diffraction stick pattern
Compound: SrMn4As
Radiation: Cu Kα
Structure: a PBE-relaxed structure
Neutral-atom scattering factors, no anomalous dispersion.

Cell and atoms:
a = 7.7911 Å, b = 7.7911 Å, c = 7.7911 Å
α = 90.00°, β = 90.00°, γ = 90.00°
Space group F-43m (No. 216)
Asymmetric unit:
Sr1 0.0000 0.0000 0.0000 x4
Mn1 0.1259 0.1259 0.3741 x16
As1 0.2500 0.2500 0.7500 x4

Principal peaks in the range 2θ = 5–70°, most intense first:
2theta  I/Imax  (hkl)
+++
(The materials data stop here)
Modern image editing apps, especially those built with ai based systems, are exceptionally good at enhancing photo quality and make photo hd. These apps are nowadays a must-use for basically all kinds of photography. If you are well-versed with image editing, you should always keep photoshop ready for use. Otherwise, you can use vanceai for automatic enhancement and much more.
One of the best places to start researching and experimenting with stock photography online is adobe stock. With an adobe creative cloud subscription, you’ll have access to a wide library of stock assets, including free stock photos, templates, and more. Easily manipulate your images from photoshop or adobe photoshop lightroom to make the designs you need. As an added benefit, you can search adobe stock from desktop applications that support creative cloud libraries, including adobe photoshop, lightroom, illustrator, indesign, dreamweaver, premiere pro, after effects, dimension, and animate. From most adobe apps, the libraries panel will directly plug you into the stock library.